_Work order_
It remains to print the whole of the block underneath without altering anything.

_Entries_
=====
{"formula": "CH5INP", "method": "ωB97M-V/def2-TZVPD", "species": ["C", "N", "P", "I", "H", "H", "H", "H", "H"], "positions_angstrom": [[0.130, -0.879, -0.582], [0.391, 1.521, 0.505], [0.830, 0.815, -0.985], [3.718, -0.229, 0.299], [-0.915, -0.802, -0.278], [0.856, -1.057, 0.186], [0.321, -1.506, -1.449], [0.447, 2.554, 0.671], [-0.325, 1.291, 1.198]], "forces_ev_per_angstrom": [[0.56, 1.65, -1.04], [-0.74, 2.00, -0.60], [0.39, -0.26, 2.91], [-1.22, 0.45, -0.75], [0.20, -0.21, 0.01], [-0.09, -0.96, 0.79], [-0.22, -0.21, 0.18], [0.72, -1.23, -0.94], [0.40, -1.24, -0.56]], "homo_energy_ev": [-8.1621, -8.1629], "e_above_lowest_ev": 1.495, "energy_ev": -19996.93255, "total_charge": 0}

=====

Record 1
80
Properties=species:S:1:pos:R:3:forces:R:3:lowdin_charge:R:1 method="wB97M-V/def2-TZVPD" multiplicity=1 total_charge=+1 de_lowest_kcal_mol=39.6 homo_lumo_gap_ev=6.68
H -4.082 0.383 -1.002 -0.07 0.02 -0.06 0.04
N 1.140 -3.075 -1.326 0.06 0.38 -0.55 -0.21
C -2.341 -0.474 1.378 0.05 -0.02 0.04 -0.28
C -3.140 0.212 -1.517 -0.03 0.02 -0.20 -0.25
N 0.401 0.972 -0.290 0.21 0.77 -0.28 0.00
H -0.255 4.627 -0.245 0.00 0.02 -0.02 0.07
N -0.042 0.857 -1.567 0.39 0.81 0.25 -0.20
C -0.137 -3.351 -0.904 0.29 -0.20 0.38 -0.33
H 0.623 -2.790 -5.599 0.07 0.03 0.01 0.09
H 3.256 -2.169 -0.004 -0.05 0.04 0.03 0.11
H -0.061 4.357 -4.040 0.03 0.01 0.02 0.09
C 3.190 0.085 -1.530 -0.04 0.17 -0.40 -0.55
N 1.506 -3.482 -2.626 -0.14 -0.07 0.52 0.03
C 4.278 -1.481 1.755 -0.05 -0.01 -0.09 0.04
C 4.463 0.997 0.377 -0.01 -0.07 -0.05 0.06
C -0.292 -4.139 3.281 0.01 0.01 -0.03 -0.06
H -2.228 -1.392 1.957 0.02 0.01 0.05 0.08
O 5.650 1.733 2.394 0.03 -0.02 0.14 0.04
C -3.653 0.188 1.663 -0.04 0.04 0.12 -0.32
H -6.742 -0.495 2.894 0.01 0.00 0.01 0.11
N 1.095 2.604 -1.521 -0.21 -0.28 0.45 -0.03
H -3.493 -2.833 -1.577 -0.02 -0.01 0.00 0.05
O 3.591 0.921 -2.308 -0.09 0.22 0.05 0.09
C 0.189 -2.929 2.790 0.01 -0.07 0.17 0.00
H 1.680 -4.035 -5.037 0.02 0.00 -0.01 0.11
C -3.834 1.548 1.413 0.05 0.01 -0.01 -0.07
C -0.392 4.746 -3.076 -0.05 0.00 0.00 -0.07
H 1.667 2.470 0.551 0.00 -0.02 -0.05 0.16
C 0.814 -2.946 -3.563 0.06 0.12 -0.33 -0.80
C -0.757 -4.901 1.040 -0.01 -0.17 0.12 -0.02
H 1.383 5.811 -2.548 -0.02 0.03 0.01 0.15
H 4.240 -2.427 2.277 0.00 0.01 -0.01 0.13
C 1.737 3.835 -2.032 0.04 -0.32 0.10 -0.08
C -4.714 -0.535 2.201 -0.03 -0.05 -0.07 -0.05
H -1.156 -6.046 2.811 0.00 0.00 0.00 0.11
H -3.013 2.128 1.003 0.00 0.00 0.02 0.11
O 0.527 -1.540 0.853 -0.06 -0.09 -0.06 -0.29
H -2.928 -3.384 0.018 -0.03 0.02 0.05 0.03
H 0.545 -2.147 3.447 0.00 -0.01 -0.01 0.13
H 5.616 1.557 4.454 0.01 0.02 0.04 0.14
H -1.103 4.031 -2.653 0.03 0.01 0.00 0.07
C 1.126 2.063 -0.288 0.20 0.33 0.05 -0.05
C 6.034 1.043 3.590 -0.11 -0.05 -0.14 -0.10
H 2.540 4.044 -1.326 0.05 0.00 -0.04 0.14
W 0.419 -1.197 -1.017 -0.55 -2.00 -0.48 1.39
O 5.485 -0.280 3.518 0.06 0.10 0.04 0.05
S -0.388 -1.649 -3.307 0.19 -0.11 0.36 0.64
H -7.038 1.917 2.440 0.00 0.00 -0.01 0.11
As -2.123 -1.056 -0.485 -0.22 0.33 0.30 1.10
C 4.984 0.824 1.627 0.01 0.12 -0.04 -0.21
C -6.096 1.434 2.219 0.03 0.02 -0.01 -0.08
H 7.121 0.984 3.642 0.04 -0.02 0.00 0.14
H -5.163 3.226 1.494 0.01 0.00 0.00 0.11
H -4.586 -1.590 2.417 0.00 0.01 0.02 0.11
H 2.180 3.559 -2.986 -0.04 -0.01 -0.03 0.14
H -2.620 1.156 -1.656 0.01 0.01 0.07 0.02
H 1.114 5.742 -0.097 0.01 -0.02 -0.02 0.09
H -3.324 -0.233 -2.495 -0.01 0.02 -0.01 0.04
C 3.795 -0.109 -0.187 0.08 0.07 0.11 -0.16
C 0.772 5.008 -2.127 -0.03 0.05 0.04 -0.41
C 3.720 -1.319 0.482 -0.04 -0.15 0.04 -0.02
N 0.960 -3.359 -4.846 -0.14 -0.01 0.09 0.09
C 4.887 -0.384 2.304 0.03 -0.10 0.07 -0.21
C -3.325 -2.541 -0.542 -0.07 -0.25 -0.13 -0.23
O 2.150 -0.691 -1.824 0.42 -0.16 0.51 -0.23
H -0.934 5.674 -3.253 -0.02 -0.01 0.00 0.09
H -1.114 -5.664 0.358 0.01 -0.01 0.02 0.12
C -5.042 2.168 1.689 -0.04 -0.04 0.00 -0.07
C -0.267 -3.706 0.543 0.03 -0.20 -0.40 -0.20
C 0.289 5.436 -0.743 -0.05 0.01 0.01 -0.06
H -0.770 -3.871 -1.619 -0.28 0.25 0.06 0.12
H -4.257 -2.193 -0.097 -0.08 -0.11 -0.03 0.04
=====

_Done_
{"formula": "CH5INP", "method": "ωB97M-V/def2-TZVPD", "species": ["C", "N", "P", "I", "H", "H", "H", "H", "H"], "positions_angstrom": [[0.130, -0.879, -0.582], [0.391, 1.521, 0.505], [0.830, 0.815, -0.985], [3.718, -0.229, 0.299], [-0.915, -0.802, -0.278], [0.856, -1.057, 0.186], [0.321, -1.506, -1.449], [0.447, 2.554, 0.671], [-0.325, 1.291, 1.198]], "forces_ev_per_angstrom": [[0.56, 1.65, -1.04], [-0.74, 2.00, -0.60], [0.39, -0.26, 2.91], [-1.22, 0.45, -0.75], [0.20, -0.21, 0.01], [-0.09, -0.96, 0.79], [-0.22, -0.21, 0.18], [0.72, -1.23, -0.94], [0.40, -1.24, -0.56]], "homo_energy_ev": [-8.1621, -8.1629], "e_above_lowest_ev": 1.495, "energy_ev": -19996.93255, "total_charge": 0}

=====

Record 1
80
Properties=species:S:1:pos:R:3:forces:R:3:lowdin_charge:R:1 method="wB97M-V/def2-TZVPD" multiplicity=1 total_charge=+1 de_lowest_kcal_mol=39.6 homo_lumo_gap_ev=6.68
H -4.082 0.383 -1.002 -0.07 0.02 -0.06 0.04
N 1.140 -3.075 -1.326 0.06 0.38 -0.55 -0.21
C -2.341 -0.474 1.378 0.05 -0.02 0.04 -0.28
C -3.140 0.212 -1.517 -0.03 0.02 -0.20 -0.25
N 0.401 0.972 -0.290 0.21 0.77 -0.28 0.00
H -0.255 4.627 -0.245 0.00 0.02 -0.02 0.07
N -0.042 0.857 -1.567 0.39 0.81 0.25 -0.20
C -0.137 -3.351 -0.904 0.29 -0.20 0.38 -0.33
H 0.623 -2.790 -5.599 0.07 0.03 0.01 0.09
H 3.256 -2.169 -0.004 -0.05 0.04 0.03 0.11
H -0.061 4.357 -4.040 0.03 0.01 0.02 0.09
C 3.190 0.085 -1.530 -0.04 0.17 -0.40 -0.55
N 1.506 -3.482 -2.626 -0.14 -0.07 0.52 0.03
C 4.278 -1.481 1.755 -0.05 -0.01 -0.09 0.04
C 4.463 0.997 0.377 -0.01 -0.07 -0.05 0.06
C -0.292 -4.139 3.281 0.01 0.01 -0.03 -0.06
H -2.228 -1.392 1.957 0.02 0.01 0.05 0.08
O 5.650 1.733 2.394 0.03 -0.02 0.14 0.04
C -3.653 0.188 1.663 -0.04 0.04 0.12 -0.32
H -6.742 -0.495 2.894 0.01 0.00 0.01 0.11
N 1.095 2.604 -1.521 -0.21 -0.28 0.45 -0.03
H -3.493 -2.833 -1.577 -0.02 -0.01 0.00 0.05
O 3.591 0.921 -2.308 -0.09 0.22 0.05 0.09
C 0.189 -2.929 2.790 0.01 -0.07 0.17 0.00
H 1.680 -4.035 -5.037 0.02 0.00 -0.01 0.11
C -3.834 1.548 1.413 0.05 0.01 -0.01 -0.07
C -0.392 4.746 -3.076 -0.05 0.00 0.00 -0.07
H 1.667 2.470 0.551 0.00 -0.02 -0.05 0.16
C 0.814 -2.946 -3.563 0.06 0.12 -0.33 -0.80
C -0.757 -4.901 1.040 -0.01 -0.17 0.12 -0.02
H 1.383 5.811 -2.548 -0.02 0.03 0.01 0.15
H 4.240 -2.427 2.277 0.00 0.01 -0.01 0.13
C 1.737 3.835 -2.032 0.04 -0.32 0.10 -0.08
C -4.714 -0.535 2.201 -0.03 -0.05 -0.07 -0.05
H -1.156 -6.046 2.811 0.00 0.00 0.00 0.11
H -3.013 2.128 1.003 0.00 0.00 0.02 0.11
O 0.527 -1.540 0.853 -0.06 -0.09 -0.06 -0.29
H -2.928 -3.384 0.018 -0.03 0.02 0.05 0.03
H 0.545 -2.147 3.447 0.00 -0.01 -0.01 0.13
H 5.616 1.557 4.454 0.01 0.02 0.04 0.14
H -1.103 4.031 -2.653 0.03 0.01 0.00 0.07
C 1.126 2.063 -0.288 0.20 0.33 0.05 -0.05
C 6.034 1.043 3.590 -0.11 -0.05 -0.14 -0.10
H 2.540 4.044 -1.326 0.05 0.00 -0.04 0.14
W 0.419 -1.197 -1.017 -0.55 -2.00 -0.48 1.39
O 5.485 -0.280 3.518 0.06 0.10 0.04 0.05
S -0.388 -1.649 -3.307 0.19 -0.11 0.36 0.64
H -7.038 1.917 2.440 0.00 0.00 -0.01 0.11
As -2.123 -1.056 -0.485 -0.22 0.33 0.30 1.10
C 4.984 0.824 1.627 0.01 0.12 -0.04 -0.21
C -6.096 1.434 2.219 0.03 0.02 -0.01 -0.08
H 7.121 0.984 3.642 0.04 -0.02 0.00 0.14
H -5.163 3.226 1.494 0.01 0.00 0.00 0.11
H -4.586 -1.590 2.417 0.00 0.01 0.02 0.11
H 2.180 3.559 -2.986 -0.04 -0.01 -0.03 0.14
H -2.620 1.156 -1.656 0.01 0.01 0.07 0.02
H 1.114 5.742 -0.097 0.01 -0.02 -0.02 0.09
H -3.324 -0.233 -2.495 -0.01 0.02 -0.01 0.04
C 3.795 -0.109 -0.187 0.08 0.07 0.11 -0.16
C 0.772 5.008 -2.127 -0.03 0.05 0.04 -0.41
C 3.720 -1.319 0.482 -0.04 -0.15 0.04 -0.02
N 0.960 -3.359 -4.846 -0.14 -0.01 0.09 0.09
C 4.887 -0.384 2.304 0.03 -0.10 0.07 -0.21
C -3.325 -2.541 -0.542 -0.07 -0.25 -0.13 -0.23
O 2.150 -0.691 -1.824 0.42 -0.16 0.51 -0.23
H -0.934 5.674 -3.253 -0.02 -0.01 0.00 0.09
H -1.114 -5.664 0.358 0.01 -0.01 0.02 0.12
C -5.042 2.168 1.689 -0.04 -0.04 0.00 -0.07
C -0.267 -3.706 0.543 0.03 -0.20 -0.40 -0.20
C 0.289 5.436 -0.743 -0.05 0.01 0.01 -0.06
H -0.770 -3.871 -1.619 -0.28 0.25 0.06 0.12
H -4.257 -2.193 -0.097 -0.08 -0.11 -0.03 0.04